2nd July 2021

FWCC Gretchen Castle reflects

by Rebecca Hardy

Quaker Gretchen Castle spoke at a Quaker Conversations session about her nine years service as general secretary for Friends World Committee for Consultation (FWCC). The episode on…

2nd July 2021

Quaker talks on art and migrant children

by Rebecca Hardy

The arts have a key role to play in promoting intercultural dialogue and integrating migrant children, said a Bath Quaker at an international conference last month.

<<<
Record 1
This record from Alexandria via LeMat-Bulk describes an optimized crystal structure of Rb2Sr2Mg. The functional is PBE.

Computed properties:
As for the magnetization: 0.00 μB per formula unit. The value obtained for the calculated density is 1.9 g cm⁻³. The total DFT energy (no corrections) is -1.148 eV/atom.

Unit cell a=9.258 b=9.258 c=7.438 alpha=90.00 beta=90.00 gamma=90.00
Atoms (fractional coordinates):
1 Rb 0.173 0.327 0.000
2 Rb 0.327 0.827 0.000
3 Rb 0.673 0.173 0.000
4 Rb 0.827 0.673 0.000
5 Sr 0.159 0.659 0.500
6 Sr 0.341 0.159 0.500
7 Sr 0.659 0.841 0.500
8 Sr 0.841 0.341 0.500
9 Mg 0.000 0.000 0.500
10 Mg 0.500 0.500 0.500

=====

Record 2
This record from Alexandria via LeMat-Bulk describes an optimized crystal structure of Rb3SrMg. The functional is PBE.

Computed properties:
As for the magnetization: 0.00 μB per formula unit. The value obtained for the calculated density is 1.1 g cm⁻³. The total DFT energy (no corrections) is -0.634 eV/atom.

Unit cell a=8.348 b=8.348 c=8.348 alpha=90.00 beta=90.00 gamma=90.00
Atoms (fractional coordinates):
1 Rb 0.000 0.000 0.500
2 Rb 0.000 0.500 0.000
3 Rb 0.500 0.000 0.000
4 Sr 0.000 0.000 0.000
5 Mg 0.500 0.500 0.500

=====

Record 3
This record from Alexandria via LeMat-Bulk describes an optimized crystal structure of RbSrMg3. The functional is PBE.

Computed properties:
As for the magnetization: 0.00 μB per formula unit. The value obtained for the calculated density is 1.7 g cm⁻³. The total DFT energy (no corrections) is -0.738 eV/atom.

Unit cell a=6.195 b=6.195 c=6.195 alpha=90.00 beta=90.00 gamma=90.00
Atoms (fractional coordinates):
1 Rb 0.000 0.000 0.000
2 Sr 0.500 0.500 0.500
3 Mg 0.000 0.000 0.500
4 Mg 0.000 0.500 0.000
5 Mg 0.500 0.000 0.000

=====

Record 4
This record from Alexandria via LeMat-Bulk describes an optimized crystal structure of RbSr2Mg2. The functional is PBE.

Computed properties:
As for the magnetization: 0.00 μB per formula unit. The value obtained for the calculated density is 2.3 g cm⁻³. The total DFT energy (no corrections) is -1.412 eV/atom.

Unit cell a=10.282 b=10.282 c=4.253 alpha=90.00 beta=90.00 gamma=90.00
Atoms (fractional coordinates):
1 Rb 0.000 0.000 0.000
2 Rb 0.500 0.500 0.000
3 Sr 0.164 0.336 0.500
4 Sr 0.336 0.836 0.500
5 Sr 0.664 0.164 0.500
6 Sr 0.836 0.664 0.500
7 Mg 0.119 0.619 0.000
8 Mg 0.381 0.119 0.000
9 Mg 0.619 0.881 0.000
10 Mg 0.881 0.381 0.000

=====

Record 5
This record from Alexandria via LeMat-Bulk describes an optimized crystal structure of RbSr2Mg. The functional is PBE.

Computed properties:
As for the magnetization: 0.00 μB per formula unit. The value obtained for the calculated density is 2.2 g cm⁻³. The total DFT energy (no corrections) is -1.136 eV/atom.

Unit cell a=14.328 b=14.328 c=14.328 alpha=157.46 beta=157.46 gamma=32.08
Atoms (fractional coordinates):
1 Rb 0.000 0.000 0.000
2 Rb 0.750 0.250 0.500
3 Sr 0.141 0.625 0.016
4 Sr 0.375 0.391 0.516
5 Sr 0.609 0.125 0.984
6 Sr 0.875 0.859 0.484
>>>
Back to the entry =

Quaker wins landmark arms fair appeal
2nd July 2021

Quaker wins landmark arms fair appeal

by Rebecca Hardy
2nd July 2021

BYM trustees speak again on racism

by Rebecca Hardy

Britain Yearly Meeting (BYM) trustees and senior management agreed a statement this month on becoming an anti-racist employer and embedding anti-racism in all work programmes.

New James Turrell ‘Skyspace’
25th June 2021

New James Turrell ‘Skyspace’

by Rebecca Hardy
25th June 2021

Friends lobby against nuclear weapon increase

by Rebecca Hardy

Churches in Stratford-upon-Avon have sent a letter to the town’s MP, expressing their concerns about government plans to expand Britain’s arsenal of nuclear weapons by forty…

25th June 2021

Human dignity requires a legal framework

by Rebecca Hardy

Britain Yearly Meeting (BYM) has joined people from other faith and belief bodies in appealing to the prime minister to protect the Human Rights Act, which is currently under…

25th June 2021

QSA launches ‘Cook Up’

by Rebecca Hardy

Quaker Social Action (QSA)’s new project, ‘Cook Up’, is now up and running in London. The scheme involves free-to-use cooking space in Islington for people without kitchens.…

25th June 2021

Sunderland Friends seek new home

by Rebecca Hardy

Sunderland Quakers are looking for a new Meeting house after selling their previous building earlier this year. Ann Smith, clerk of Sunderland Meeting, told the Friend that they…

25th June 2021

Friends help curate CO exhibition

by Rebecca Hardy

Friends House Library staff have helped bring together a new exhibition by photographic artist Nick Smith about his cconscientious objector (CO) grandfather. ‘Fabric of…

25th June 2021

Winchmore Hill host Open Garden

by Rebecca Hardy

Forty people came to Winchmore Hill Quakers’ Open Garden this month. Local Quaker Mark Friend, who organised the event, said: ‘Over the years we have taken part in a…

BYM calls for G7 action on climate justice
18th June 2021

BYM calls for G7 action on climate justice

by Rebecca Hardy